Episode 428: ADHD Activist Sarah Templeton on the School-to-Prison Pipeline
ADHD Activist Sarah Templeton on the School-to-Prison Pipeline APPLE PODCASTS GOOGLE PODCASTS AMAZON MUSIC IHEART RADIO AUDIBLE SPOTIFY BUZZSPROUT STITCHER Today we’re diving into an urgent and often overlooked issue—the connection between ADHD, the school-to-prison...
Episode 403: Substance Use & Neurodivergent Kids, with Brenda Zane
Navigating Substance Use & Abuse in Our Kids, with Brenda Zane APPLE PODCASTS GOOGLE PODCASTS AMAZON MUSIC IHEART RADIO AUDIBLE SPOTIFY BUZZSPROUT STITCHER Just as technology evolves rapidly, so do the ways drugs are consumed. For parents, it can be tough to...
Episode 395: Marcus Soutra on the State of the Neurodiversity Movement
Where Are We in the Neurodiversity Movement? with Marcus Soutra APPLE PODCASTS GOOGLE PODCASTS AMAZON MUSIC IHEART RADIO AUDIBLE SPOTIFY BUZZSPROUT STITCHER The movement surrounding neurodivergence has evolved so much since I started Tilt Parenting, which I launched...
Episode 381: Does Traditional Therapy Work for Neurodivergent Kids?
Dr. Megan Anna Neff and Dr. Debra Brause on the Complex Relationship Between Traditional Therapeutic Modalities and Neurodivergence APPLE PODCASTS GOOGLE PODCASTS AMAZON MUSIC IHEART RADIO AUDIBLE SPOTIFY BUZZSPROUT STITCHER This episode has been a few months in the...
Episode 374: Kim & Penn Holderness on How ADHD is Awesome
Kim & Penn Holderness Talk About How ADHD is Awesome in Love and in Life APPLE PODCASTSGOOGLE PODCASTSAMAZON MUSICIHEART RADIOAUDIBLESPOTIFYBUZZSPROUTSTITCHERI’ve been a longtime fan of Kim and Penn Holderness, who I’ve had a parasocial relationship with for...
Episode 355: Dr. Sharon Saline on Understanding ADHD in Girls
Dr. Sharon Saline on Understanding and Working with ADHD in Girls APPLE PODCASTS GOOGLE PODCASTS AMAZON MUSIC IHEART RADIO AUDIBLE SPOTIFY BUZZSPROUT STITCHER You may have heard about the “lost generation of autistic women,” which refers to those women whose...
Episode 349: Thriving as a Parent with ADHD, with Elaine Taylor-Klaus
Surviving and Thriving as a Parent with ADHD, with Elaine Taylor-Klaus APPLE PODCASTS GOOGLE PODCASTS AMAZON MUSIC IHEART RADIO AUDIBLE SPOTIFY BUZZSPROUT STITCHER Today we’re going to be talking about being a parent with ADHD who is parenting neurodivergent...
Episode 336: Dr. Megan Anna Neff on Diagnoses and Misdiagnoses
Dr. Megan Anna Neff on Diagnoses and Misdiagnoses (It’s Complicated!) APPLE PODCASTS GOOGLE PODCASTS AMAZON MUSIC IHEART RADIO AUDIBLE SPOTIFY BUZZSPROUT STITCHER In this episode, Dr. Megan Anna Neff, a clinical psychologist specializing in the support and empowerment...
Episode 310: Dr. Norrine Russell on RSD (Rejection Sensitive Dysphoria)
What is RSD (Rejection Sensitive Dysphoria)? Dr. Norrine Russell Explains APPLE PODCASTS GOOGLE PODCASTS AMAZON MUSIC IHEART RADIO AUDIBLE SPOTIFY PODBEANSTITCHER Have you every heard of RSD or Rejection Sensitive Dysphoria? If not, or if it's on your radar but you...
Episode 300: Executive Function Coach Seth Perler on Back to School
Executive Function Coach Seth Perler on What Is & Isn't Working in School APPLE PODCASTS GOOGLE PODCASTS AMAZON MUSIC IHEART RADIO AUDIBLE SPOTIFY PODBEANSTITCHER Today I’ve got a great episode with my friend, executive function coach, and frequent guest of the...
Episode 275: Ned Hallowell on Supporting Their Children with ADHD
Ned Hallowell on How Parents Can Best Support Their Children with ADHD APPLE PODCASTSGOOGLE PODCASTSAMAZON MUSICIHEART RADIOAUDIBLESPOTIFYPODBEANSTITCHERToday I'm bringing you my conversation with Dr. Ned Hallowell, a board-certified child and adult psychiatrist...
Episode 261: How to Motivate Kids & Build Their Stress Tolerance
How to Motivate Kids & Build Their Stress Tolerance, with William Stixrud and Ned Johnson APPLE PODCASTS GOOGLE PODCASTS AMAZON MUSIC IHEART RADIO AUDIBLE SPOTIFY PODBEANSTITCHER This week I'm bringing back to the show Dr. William Stixrud and Ned Johnson for...
Episode 251: Ashia Ray on Raising Luminaries and “Smashing the Kyriarchy”
My guest this week is Ashia Ray, a neurodiversity rights activist and the founder of the Raising Luminaries movement and Books for Littles website. Through these combined endeavors, Ashia curates lists of engaging children’s picture books for parents, teachers, and...
Episode 249: Jessica Lahey on Her New Book “The Addiction Inoculation”
This episode features an important conversation about alcohol and substance abuse. In almost five years of podcasting, I’ve only covered this topic once so far, yet I know this is a pressing issue for parents of differently wired kids as several studies have linked...
Episode 246: What it Takes to Grow Up Safely in Today’s World
This weeks’ episode is a must-listen to if you have a teen, a tween, or will someday have a teen or tween (so yes, pretty much all parents). My guest is veteran prosecutor for the city of Los Angeles, and former troubled teen Jonathan Cristall. Five years ago,...
Episode 242: Roberto Olivardia on Boys, Body Image, and Eating Disorders
This week is a conversation about boys, body image, and eating disorders. I’m excited to bring back to the show Clinical Psychologist Dr Roberto Olivardia for this important and often overlooked topic. Roberto last spoke with us about sleep challenges with...
Episode 225: ADHD Essentials for Parents, with Brendan Mahan
Today I’m excited to be bringing to the podcast Brendan Mahan, an expert in ADHD and Executive Functioning, and the host of the ADHD Essentials Podcast. As a former teacher and school counselor who also has ADHD himself, Brendan brings to the podcast a powerful...
Episode 221: Exercise and Mental Health for Kids with ADHD
In this episode, I’m talking with coach, counselor, and author Gabriel Villarreal about the intersection of mental health and exercise for differently wired kids. Gabriel is not just a licensed counselor specializing in ADHD and the owner of LostBoys Strength &...
Episode 210: Dr. Roberto Olivardia on ADHD and Sleep Challenges
This episode of the Tilt Parenting Podcast is ALL about sleep! Specifically, sleep challenges in kids with ADHD. My guest is Dr. Roberto Olivardia, a Clinical Psychologist and Lecturer at Harvard Medical School, who specializes in the treatment of ADHD, OCD,...
Episodes 163: Dr. Mark Bertin on Resilience, EF, and Mindfulness
My guest this week is Dr. Mark Bertin, a developmental pediatrician who specializes in the promotion of child development and developmental disorders such as ADHD, autism, and learning disabilities. Mark is also the author of The Family ADHD Solution, Mindful...
Episode 144: Dr. Sharon Saline On What Our ADHD Kids Wish We Knew
It’s been a while since I’ve done a show focused primarily on ADD/ADHD and this is a really powerful one. My guest is Dr. Sharon Saline, a licensed clinical psychologist who specializes in working with children, adolescents, and families who are...
Episode 142: Kayce Hughlett’s Journey of Her ADHD Son’s Drug Use
Author Kayce Hughlett's Shares the Journey of Her ADHD Son's Drug Use APPLE PODCASTS GOOGLE PODCASTS AMAZON MUSIC IHEART RADIO AUDIBLE SPOTIFY BUZZSPROUT STITCHER This episode features is a powerful, heartfelt conversation that I’m honored to share with you. My...
=====
A gas-phase ion, C6H12ClN2 (charge +1). Source: the Open Molecules 2025 dataset; level of theory: ωB97M-V with the def2-TZVPD basis set.

```
21
Properties=species:S:1:pos:R:3:forces:R:3
H 2.771 3.147 -0.402 -0.989 0.137 0.395
N 2.501 2.177 -0.272 1.371 -0.356 -0.539
C 1.400 1.755 0.132 -2.422 3.692 -0.075
C 1.006 0.412 0.243 1.417 -4.696 1.245
C 1.919 -0.632 0.264 -0.479 1.849 -1.161
C 1.615 -2.075 0.043 -0.655 -0.120 3.262
Cl 3.558 -0.180 0.175 0.342 -1.316 0.394
N -0.453 -0.069 0.241 1.552 2.082 -1.273
C -1.516 0.761 0.936 0.051 -1.646 2.099
C -0.721 -0.169 -1.229 0.525 -1.222 0.432
H 0.539 2.435 0.344 0.482 0.052 -0.011
H 2.423 -2.689 -0.235 1.354 -0.306 -0.179
H 0.900 -2.206 -0.697 -1.422 -0.242 -1.396
H 1.199 -2.542 0.992 0.432 0.437 -0.911
H -0.342 -1.000 0.617 -0.677 -0.255 0.357
H -2.404 0.744 0.328 -0.167 0.153 -0.231
H -1.758 0.214 1.909 0.356 0.912 -1.253
H -1.198 1.770 1.176 0.172 -0.118 -0.251
H -0.172 -1.022 -1.594 0.131 -0.017 -0.276
H -1.733 -0.324 -1.425 -1.751 -0.240 -0.148
H -0.378 0.696 -1.715 0.375 1.222 -0.479
```
Forces are in eV/Å.

As for the molar mass: 147.629 g mol⁻¹. As for the net charge: +1. Its HOMO energy is -12.67 eV. The energy above the lowest of the compared OMol25 structures with the same formula, charge and spin is 64.4 kcal per mole. As for the HOMO-LUMO gap: 8.79 eV.

A molecular structure, C6H12ClN5. Source: the Open Molecules 2025 dataset; level of theory: ωB97M-V with the def2-TZVPD basis set.

```
24
Properties=species:S:1:pos:R:3:forces:R:3
C 2.676 -0.268 -1.199 -0.234 -0.009 0.449
C 2.333 -0.968 -0.286 1.086 -0.216 -1.650
C -0.618 0.328 1.226 -1.041 -1.613 -1.238
C -1.784 1.704 -2.024 -0.134 -1.764 4.104
C 2.036 -2.018 0.621 -1.385 -2.343 2.051
C 0.529 -1.945 0.996 0.438 -0.389 -0.425
N 0.212 -0.641 1.613 -1.426 0.699 -1.279
N -1.416 0.002 0.099 1.207 -0.550 1.090
N -2.297 0.842 -0.364 1.160 3.735 -3.016
N -0.802 1.462 1.888 0.527 0.208 0.125
N -0.531 1.911 -2.300 0.327 -0.685 -1.998
Cl -3.137 2.363 -2.662 0.307 0.195 -0.465
H 3.115 0.311 -1.965 0.122 0.356 -0.315
H 2.608 -1.968 1.539 0.349 0.494 0.327
H 2.163 -3.156 0.419 0.181 2.067 -0.920
H 0.058 -1.920 -0.053 0.106 -1.066 2.035
H 0.390 -2.778 1.793 -0.751 1.271 -1.850
H 0.733 -0.415 2.395 1.365 0.364 1.916
H -1.379 -0.943 -0.270 0.109 0.103 0.287
H -3.229 0.518 -0.572 -0.156 -0.532 -0.382
H -0.266 1.567 2.757 -0.403 0.253 -0.576
H -1.315 2.290 1.537 0.298 -1.160 0.202
H 0.323 1.309 -1.934 -2.332 1.441 -0.573
H -0.400 2.415 -3.255 0.279 -0.857 2.100
```
Forces are in eV/Å.

As for the molar mass: 189.650 g mol⁻¹. As for the net charge: +2. Its HOMO energy is -16.73 eV. The energy above the lowest of the compared OMol25 structures with the same formula, charge and spin is 0.0 kcal per mole. As for the HOMO-LUMO gap: 8.47 eV.

2 unconnected molecules or ions with the total composition C6H12ClNO2S2. Source: the Open Molecules 2025 dataset; level of theory: ωB97M-V with the def2-TZVPD basis set.

```
24
Properties=species:S:1:pos:R:3:forces:R:3
=====
Episode 93: A Talk with ADHD & Autism Parent Coach Penny Williams
In this episode of the TiLT Parenting Podcast, my guest is Penny Williams, author of the book Boy Without Instructions: Surviving the Learning Curve of Parenting a Child with ADHD, as well The Insiders Guide to ADHD, and What To Expect When Parenting a Child...
Episode 80: 13-year-old Asher Answers Listeners’ Questions
This week's podcast episode is an "Asher Special," in which Asher answers listener questions. In our conversation, we talk about everything from how Asher feels about having ADHD and what helped him get through the difficult transition of moving abroad when...
Episode 77: Peter Shankman of Faster Than Normal on the Gifts of ADHD
Today I’m excited to be bringing to the podcast Peter Shankman, a multiple-startup founder, best-selling author, and the creator of Faster Than Normal, a leading ADD/ADHD podcast, focusing on the benefits of being gifted with ADD/HD, which describes who...
Episode 52: Nutritionist Jill Castle with the Facts About ADHD and Nutrition
Nutritionist Jill Castle with the Facts About ADHD and Nutrition in Kids APPLE PODCASTS GOOGLE PODCASTS AMAZON MUSIC IHEART RADIO AUDIBLE SPOTIFY BUZZSPROUT STITCHER For this episode about ADHD and nutrition, I spoke with one of America’s leading experts in the...
Episode 46: Anders Ronnau Talks About How He’s Transforming ADHD
Coach Anders Ronnau Talks About How He's Transforming ADHD APPLE PODCASTS GOOGLE PODCASTS AMAZON MUSIC IHEART RADIO AUDIBLE SPOTIFY BUZZSPROUT STITCHER In this episode of the Tilt Parenting Podcast, I talk with Anders Ronnau, a master coach, hypnotherapist, trainer,...
Episode 36: Asher Talks About Diagnoses, Labels, and Stigmas
In this special kid’s POV edition, my 12-year-old son Asher and I have a frank and honest conversation about the topic of diagnoses, labels, and the stigmas associated with diagnoses. I know that Asher has strong feelings about all of these topics and...
Episode 33: A Conversation with 12-year-old Asher About Being a Kid with ADHD
A Conversation with 12-year-old Asher About Being a Kid with ADHD APPLE PODCASTSGOOGLE PODCASTSAMAZON MUSICIHEART RADIOAUDIBLESPOTIFYBUZZSPROUTSTITCHERIn this special kid’s POV edition, my 12-year-old son Asher and I get real about the impact of ADHD in our...
Episode 30: Asher Talks with David Flink, Founder of Eye to Eye
In this episode of the TiLT Parenting Podcast, 12-year-old Asher steps into my role as interviewer and sits down with David Flink, author of the book Thinking Differently: An Inspiring Guide for Parents of Children with Learning Disabilities, and...
Episode 22: Behind the Scenes of the Online Resource Understood.org
One of my favorite parts about producing the TiLT Parenting Podcast is that I get to learn about fantastic resources devoted to supporting parents raising atypical kids in a powerful, tangible way, like Understood.org. Created to give parents...
Episode 14: Margit Crane Luria on the Myths and Realities of ADHD / ADD
This week's episode features a conversation with ADHD coach Margit Crane Luria of Blocked to Brilliant. Margit, who has ADHD herself, brings a powerful perspective to the podcast as a passionate advocate for children and teens with ADHD. Her mission?...
Episode 6: 11-year-old Asher Talks About Handling Frustration
Asher Talks About Ways to Handle Being an Easily Frustrated Child APPLE PODCASTSGOOGLE PODCASTSAMAZON MUSICIHEART RADIOAUDIBLESPOTIFYBUZZSPROUTSTITCHERIn this special kid's POV edition, I share a short conversation I had with my 11-year-old Asher about being...